Woman's Hidden Camera Shows Us True Life in the Islamic State

What's life like in Islamic State's nascent caliphate? Pretty much a nightmare — especially if you're a woman.
An anonymous Syrian student concealed a hidden camera under her niqab in Raqqa, Syria, the informal "capital" of the Islamic State, as part of a documentary for France 2.
The videos were taken in February and April, well before the current U.S. bombing campaign or Islamic State's rapid expansion from its original stronghold of Syria into Iraq. Raqqa now serves as IS' capital, where the militants reportedly execute as many as five people a week for various violations of the caliphate's new laws. The fighters there are well organized and coordinated, recently surviving U.S. airstrikes relatively unscathed.
Black banners cover the streets, which are patrolled by irregulars clutching automatic rifles and decked out with grenades and body armor.
Islamic State's informal fighters appear to have full jurisdiction to deal with Raqqa's citizens as they desire, or at least bring them to a sharia court.
== Calculated molecules, as found in the file ==
=====
(1)
This record from the Open Molecules 2025 dataset describes C57H47ClCrN3O2P3Se as an isolated structure. The level of theory is ωB97M-V/def2-TZVPD.

Properties
LUMO energy (spin up / spin down) in eV: -0.11 / -0.28
Multiplicity: 5
Total charge: 0
Kohn-Sham gap (spin up / spin down) in eV: 5.11 / 6.90

```
115
Properties=species:S:1:pos:R:3:mulliken_charge:R:1
Cr -0.686 -0.587 -0.286 -0.051
Cl 2.761 -5.505 3.796 -0.258
C 1.730 -4.310 3.063 -0.129
C 0.800 -3.621 3.860 -0.528
C -0.018 -2.671 3.318 -0.606
C 0.048 -2.330 1.938 0.120
O -0.742 -1.413 1.493 0.620
C 0.969 -3.066 1.144 0.990
C 1.081 -2.899 -0.273 -0.614
O 0.500 -2.059 -0.977 -0.049
C 1.800 -4.048 1.728 -1.086
H 0.739 -3.855 4.915 0.460
H -0.736 -2.138 3.928 0.511
H 1.749 -3.601 -0.791 0.194
H 2.494 -4.594 1.101 0.493
C -2.473 1.949 -2.011 -1.841
C -3.454 1.388 -0.974 -1.087
P -2.592 0.702 0.491 2.579
C -3.818 -0.304 1.374 0.848
C -3.635 -0.507 2.741 -0.857
C -4.476 -1.355 3.442 -0.629
C -5.508 -2.011 2.785 -0.693
C -5.696 -1.814 1.426 -0.545
C -4.853 -0.967 0.722 -0.544
C -2.357 2.127 1.599 -0.329
C -1.079 2.490 2.008 0.806
C -0.907 3.581 2.854 -0.615
C -2.004 4.304 3.293 -0.727
C -3.285 3.939 2.892 -0.866
C -3.460 2.853 2.052 -0.812
P -0.866 1.019 -2.204 3.472
C 0.294 2.433 -2.314 0.297
C 1.125 2.629 -3.411 -0.409
C 1.921 3.765 -3.497 -1.126
C 1.875 4.724 -2.499 -0.683
C 1.054 4.530 -1.396 -1.048
C 0.286 3.385 -1.294 0.239
C -0.774 0.372 -3.900 -0.359
C 0.009 -0.762 -4.100 0.304
C 0.176 -1.279 -5.376 -1.198
C -0.455 -0.678 -6.454 -0.589
C -1.235 0.455 -6.262 -1.026
C -1.382 0.986 -4.991 -0.761
H -2.178 2.960 -1.722 0.498
H -2.957 2.025 -2.986 0.615
H -4.041 0.577 -1.408 0.470
H -4.147 2.169 -0.656 0.717
H -2.825 -0.004 3.257 0.443
H -4.321 -1.509 4.502 0.411
H -6.156 -2.685 3.329 0.400
H -6.480 -2.341 0.900 0.458
H -4.995 -0.866 -0.347 0.195
H -0.231 1.906 1.659 -0.278
H 0.088 3.859 3.176 0.503
H -1.867 5.149 3.954 0.407
H -4.144 4.496 3.242 0.427
H -4.461 2.557 1.759 0.452
H 1.162 1.897 -4.209 0.371
H 2.569 3.898 -4.353 0.437
H 2.484 5.615 -2.572 0.410
H 1.031 5.261 -0.599 0.462
H -0.317 3.222 -0.409 0.095
H 0.466 -1.259 -3.251 0.325
H 0.774 -2.169 -5.521 0.494
H -0.345 -1.094 -7.447 0.389
H -1.723 0.928 -7.103 0.412
H -1.971 1.885 -4.857 0.426
Se -2.982 -1.721 -2.737 0.172
N -2.339 -1.816 -1.002 -0.136
C -2.923 -2.945 -0.475 -0.333
C -2.800 -3.400 0.846 0.575
C -3.461 -4.536 1.269 -1.241
C -4.295 -5.253 0.401 -0.651
C -4.480 -4.810 -0.887 -0.845
C -3.822 -3.648 -1.343 0.833
N -4.040 -3.149 -2.580 -0.986
H -2.227 -2.828 1.559 0.356
H -3.344 -4.859 2.295 0.478
H -4.802 -6.145 0.746 0.403
H -5.135 -5.325 -1.577 0.487
N 0.802 0.528 0.267 1.225
P 2.331 0.565 0.372 -0.100
C 3.231 -0.566 -0.739 0.820
C 4.043 -1.608 -0.302 -0.857
C 4.600 -2.496 -1.215 -0.797
C 4.352 -2.350 -2.571 -0.840
C 3.541 -1.313 -3.018 -0.793
C 2.985 -0.432 -2.106 -0.676
C 3.121 2.193 0.106 1.164
C 4.058 2.471 -0.879 -0.429
C 4.660 3.724 -0.944 -0.688
C 4.336 4.702 -0.021 -0.634
C 3.396 4.433 0.970 -0.679
=====
At one point, a woman covered head to toe can be seen escorting her child to a park while carrying a Kalashnikov (rifle).
In Raqqa, where IS members severely punish citizens displaying insufficient piety, women are forced into modesty.
The woman filming is also accosted by men in a sedan who chastised her for appearing in public: "We see your face ... you have to pay attention for covering up." As she attempts to explain that the exposure was accidental, a man in the car insists with thinly veiled hostility that "God loves women who are covered."
France 2 reports approximately 150 French women in Syria have come to join their husbands as they became foreign fighters or were recruited as Islamist brides. In a women-only basement Internet cafe, they sometimes argue with their families about their refusal to return home.
The full report is below, featuring what small snippets France 2's undercover movie-maker was able to smuggle out of Syria — presumably at great personal risk.
More recent reports confirm that life in Raqqa is unbearable for many. A local using the pseudonym Abu Said told NBC News that "severed heads on fences, and people who are crucified" are not uncommon, while two brigades of armed IS fighters maintain control over each gender.
But he reluctantly admitted that however brutal the regime Raqqa's new rulers have implemented may be, it nonetheless appears to be usurping many of the functions of the government that preceded it:
"With the departments they have established, they really have created a state. ... One cannot deny that, for instance, they opened a consumer protection office. If one has a restaurant and they came to check it out, and the meat was bad, or it was exposed to dirt or sunlight, they would take expired material and dispose of it as a sanitary action. They follow up on these issues completely with the departments they have created."
The costs of this new quasi-state, however, are almost beyond comprehension. In an interview with Mashable, a former doctor at Raqqa National Hospital relayed tales of brutality — including a time when IS guards intervened in an emergency procedure to ensure the female patient's face remained covered.
She died.